Performance Matters. According to Amazon, 1 second of load lag time would cost them 1.6 billion in sales per year. According to Walmart, for every second of improvement, they receive a 2% conversion increase. According to Akamai, every 100-millisecond delay in website load time can hurt conversion rates by 7%. And for every second delay in a mobile page load, conversions can fall by up to 20%.

Visitor expectations have also been rising. According to a study by Akamai, 47% of people expect a web page to load in two seconds or less. This is not the same forgiving web where load times of 3-5 seconds are acceptable. According to Pingdom, sites that load in five seconds have a 38% bounce rate.

The Problem with MVC

There is a limit to how much you can optimize page performance in a traditional MVC driven Sitecore site. The Pipelines that handle requests are incredible pieces of engineering. They are optimized with caches to ensure they run as efficiently as possible, but there is an inherit limit on how well they can perform. Often the biggest benefit of the yearly upgrade cycle was micro-optimizations to this implementation.

Even with scaling horizontally (adding servers) and vertically (using bigger servers) there is only so much juice you can squeeze out of the underlying architecture to improve performance. I’ve often seen clients disable Sitecore’s marketing features or put the entire site behind a CDN that prevents those features from functioning properly in an effort to improve performance.

And while some of these strategies can help you attain satisfactory performance targets, they are still impacted by the inherent limitations of a server side rendered MVC architecture. If you look at the complexity of the request and response pipelines, it is abundantly clear that there is too much that needs to occur to truly optimize your requests for performance.


A Better Architecture for Performance

Many people tout the performance benefits of a headless architecture, but they don’t do a great job conveying the reasons and implications of the architecture. I think we often blend a few different things together when talking about headless, and really only when considering everything, do we really understand the paradigm shift that this architecture brings to our solutions.

When we say headless is more performant, we are actually referring to the confluence of several factors at once:

Framework Efficiencies – The ability for frameworks like Next.js to support server-side generation (ISG), incremental static regeneration (ISR) as well as the traditional Server-Side Rendering.
Publishing Efficiencies – The ability to move some of the layout assembly / reference logic to publish time instead of rendering time.
Optimization Efficiencies – The removal of analytics, personalization and AB testing from the server-side rendering in favor of client-side tools that enable the same types of capabilities.
Content Retrieval Efficiencies – The efficiency of retrieving published content and layout details through Edge Cached services using Experience Edge.
Infrastructure Efficiencies – The scale and acceleration provided by serverless hosting providers like Vercel and Netlify.


Framework Efficiencies: Enhancing Performance with Next.js

One of the key factors driving the improved performance in headless Sitecore solutions is the utilization of modern front-end frameworks like Next.js. These frameworks have revolutionized the way web applications are built and rendered, introducing several critical efficiencies that were previously challenging to achieve.

Next.js, in particular, stands out for its support of various rendering strategies, including Server-Side Generation (SSG), Incremental Static Regeneration (ISR), and traditional Server-Side Rendering (SSR). These techniques provide developers with a spectrum of choices when it comes to how and when content is generated and delivered to users.

Server-Side Generation (SSG) allows for pre-rendering entire pages at build time, ensuring that content is readily available and reducing server load during runtime. Incremental Static Regeneration (ISR) takes this a step further by allowing developers to re-generate specific parts of a page when needed, striking a balance between pre-rendering and dynamic content.

Traditional Server-Side Rendering (SSR) is also supported, offering flexibility for applications that require more dynamic content updates. Next.js’ framework efficiencies enable developers to select the rendering strategy that best suits their specific use cases, optimizing the balance between performance and interactivity.

Moreover, these frameworks often come equipped with a host of performance optimization tools, such as code splitting, automatic image optimization, and intelligent caching mechanisms. These features further enhance the overall speed and efficiency of websites built on a headless Sitecore architecture.

Publishing Efficiencies in Headless Sitecore

In a traditional Sitecore setup, content publishing primarily involves updating the database with the latest content changes. However, the real challenge arises when it’s time to render a page or its components. This is where the content from various data sources needs to be dynamically brought together, processed, and rendered in real-time.

Headless Sitecore changes this approach. When content is published in a headless architecture, it goes beyond merely updating the database. Instead, it involves the assembly of the entire page layout and its components into JSON representations during the publish process itself. This means that at the moment of publication, the content isn’t just stored in the database; it’s also precompiled into a format that’s ready for immediate rendering.

This shift from runtime content assembly to publish-time content generation is a game-changer for performance. When a user requests a page in a headless setup, the necessary content is readily available in a pre-rendered JSON format, significantly reducing the computational load on the server. This proactive approach ensures that content retrieval and rendering are almost instantaneous, leading to remarkable gains in website speed and responsiveness.

Optimization Efficiencies with Composable Architectures and Strategic Tooling

Optimizing user experiences and improving website performance are paramount in today’s digital landscape. Traditional server-side rendering in Sitecore often involves the execution of resource-intensive tasks like analytics tracking, personalization, and A/B testing on the server side, which can add significant overhead to page load times. However, in a headless Sitecore architecture, optimization efficiencies come to the forefront by shifting these tasks to the client side.

In the quest for superior user experiences and streamlined content delivery, organizations are turning to composable architectures that enable the strategic integration of cutting-edge tools and technologies. Among the myriad options available, Sitecore Personalize and CDP stand out as a potent choice to drive optimization and enhance engagement.

A composable approach to architecture empowers organizations to assemble a custom set of best-in-class tools and services, seamlessly integrated to address specific optimization needs. This approach transcends the limitations of monolithic systems and opens new horizons for performance enhancements.

Content Retrieval Efficiencies in Headless Sitecore

In traditional Sitecore architectures, content retrieval typically hinges on accessing data stored in the web database, primarily SQL-based. This data comprises page layouts, content components, and other essential website elements. As user traffic scales or when content-rich pages are accessed, retrieving and rendering this content directly from the database can introduce noticeable latency, potentially impacting user experience.

Enter the headless Sitecore approach, which redefines content retrieval with tools like Experience Edge. In a headless architecture, published content isn’t merely stored in a conventional database. Instead, content representations are precompiled into JSON format, which offers a more lightweight and flexible structure for content storage and retrieval. This JSON representation, when coupled with Edge Cached services, promises transformative content retrieval efficiencies.

The essence of Edge Cached services, such as Experience Edge, is to cache these JSON representations at strategic network locations closer to your front-end servers. With the content stored in this manner, the traditional overheads associated with database queries, processing, and rendering are drastically reduced. Accessing a lightweight JSON structure from an Edge Cached service results in significantly reduced latency, allowing for near-instantaneous content delivery to users.

Infrastructure Efficiencies in Headless Sitecore

Optimizing the infrastructure is a crucial aspect of ensuring top-notch performance and scalability in any web solution. In the context of headless Sitecore, Infrastructure Efficiencies become even more critical due to the demand for seamless content delivery and responsive user experiences. This is where modern hosting providers, like Vercel and Netlify, play a pivotal role in transforming the hosting and deployment landscape.

Traditional server setups often involve the procurement, maintenance, and management of physical or virtual servers to handle website traffic. Scaling resources horizontally (adding more servers) or vertically (using bigger servers) can be cumbersome, costly, and time-consuming. This approach, while effective, has its limitations in terms of flexibility and agility.

In contrast, modern hosting providers offer Infrastructure Efficiencies that align perfectly with the principles of a headless Sitecore architecture. These providers offer serverless hosting, which means organizations no longer need to concern themselves with server management. Instead, they can focus on developing and deploying their applications and content.

Serverless hosting providers automatically handle resource allocation and scaling based on traffic patterns, ensuring optimal performance and cost-effectiveness. With this infrastructure, organizations can effortlessly handle traffic spikes during marketing campaigns or traffic surges, all while maintaining consistent performance.

### Here the entry breaks off for quantum chemistry results
Entry 1:
ORCA calculation (the ωB97M-V functional and the def2-TZVPD basis) on the molecule C7H4O2S in a non-equilibrium geometry.

```
14
Properties=species:S:1:pos:R:3:nbo_charge:R:1
C 2.50 1.86 0.78 -0.432
C 2.54 0.62 0.92 0.561
C -2.17 -1.20 -0.53 -0.300
C -1.31 -0.37 -1.16 -0.099
C -1.79 -1.42 0.81 -0.332
C -0.18 0.10 -0.41 -0.415
C 0.73 0.98 -0.93 0.446
O 1.62 1.74 -0.72 -0.362
O 2.18 -0.48 0.90 -0.519
S -0.37 -0.58 1.27 0.530
H 3.21 2.66 0.71 0.241
H -2.99 -1.70 -0.85 0.223
H -1.55 -0.17 -2.15 0.227
H -2.41 -2.04 1.36 0.230
```

Values from the calculation:
charge	0
multiplicity	1
HOMO-LUMO gap (alpha / beta)	6.829 / 6.830	eV
E_tot	-817.5764	Ha
energy above the lowest of the compared OMol25 structures with the same formula, charge and spin	90.1	kcal per mole


Entry 2:
ORCA calculation (the ωB97M-V functional and the def2-TZVPD basis) on a structure of composition C36H38BHfN5O5 in a non-equilibrium geometry.

```
86
Properties=species:S:1:pos:R:3:mulliken_charge:R:1
Hf -3.93 1.52 17.87 1.492
O -5.03 3.58 17.75 0.228
C -4.26 4.66 18.28 0.570
C -3.77 5.61 17.43 -0.375
C -2.86 6.55 17.99 -1.105
C -2.69 6.69 19.39 -0.682
C -3.33 5.78 20.19 -0.878
C -3.94 4.65 19.64 0.986
C -4.10 3.48 20.45 -0.859
N -3.91 2.24 20.04 0.223
C -3.75 1.15 21.05 -0.873
C -3.47 -0.22 20.35 -0.959
N -2.92 -0.10 18.99 -0.171
C -1.67 -0.45 18.74 -0.230
C -0.78 0.28 17.83 0.620
C 0.48 -0.29 17.73 -0.631
C 1.60 0.40 17.23 -0.705
C 1.45 1.75 17.02 -0.535
C 0.20 2.34 17.06 -0.854
C -0.93 1.71 17.59 0.648
O -2.03 2.39 17.78 -0.414
H -3.92 5.54 16.36 0.678
H -2.38 7.29 17.35 0.431
H -1.95 7.39 19.81 0.397
H -3.41 5.91 21.29 0.323
H -4.19 3.74 21.52 0.352
H -4.57 0.99 21.71 0.381
H -2.89 1.48 21.69 0.571
H -4.44 -0.80 20.39 0.200
H -2.75 -0.77 20.94 0.662
H -1.24 -1.39 19.14 0.263
H 0.59 -1.31 18.13 0.281
H 2.55 -0.06 17.03 0.405
H 2.34 2.31 16.77 0.408
H 0.22 3.34 16.71 0.428
C -5.88 -2.47 16.82 -1.790
C -5.77 -1.06 17.34 0.687
N -4.83 -0.21 16.86 1.348
N -4.21 -0.52 15.68 -1.238
C -3.77 0.59 15.18 0.600
O -3.85 1.75 15.87 -0.730
C -3.24 0.60 13.80 0.216
C -3.04 1.74 13.08 -0.411
C -2.66 1.58 11.71 -0.565
C -2.71 0.33 11.12 -0.433
C -2.99 -0.79 11.92 -0.542
C -3.29 -0.65 13.23 -0.442
C -6.53 -0.45 18.40 0.030
C -7.79 -0.86 18.84 -0.925
C -8.59 -0.13 19.77 -0.671
C -8.05 1.06 20.26 -1.098
C -6.81 1.46 19.75 0.061
N -6.05 0.77 18.86 0.416
H -4.90 -2.85 16.47 0.350
H -6.40 -2.49 15.89 0.296
H -6.29 -3.12 17.57 0.515
H -3.21 2.72 13.48 0.524
H -2.17 2.43 11.17 0.306
H -2.45 0.22 10.06 0.340
H -3.12 -1.78 11.46 0.337
H -3.36 -1.57 13.85 0.308
H -8.11 -1.78 18.42 0.492
H -9.53 -0.56 20.12 0.385
H -8.41 1.61 21.14 0.400
H -6.42 2.47 20.02 0.065
C -7.16 6.43 14.89 -1.778
C -7.40 5.04 15.36 1.537
C -7.89 4.21 14.12 -1.832
O -6.08 4.45 15.74 -0.404
B -6.20 4.03 17.04 0.419
O -7.46 4.20 17.60 -0.301
C -8.24 5.01 16.63 1.621
C -9.54 4.28 16.44 -1.912
C -8.54 6.38 17.32 -1.858
H -6.44 6.35 13.99 0.346
H -6.65 7.07 15.66 0.315
H -8.04 6.98 14.60 0.403
H -7.13 4.24 13.30 0.438

Additionally, these providers often offer content delivery networks (CDNs) as part of their services, further accelerating content delivery to end-users. By caching and distributing content across a global network of servers, CDNs minimize latency and ensure a fast and reliable user experience, regardless of a user’s geographic location.

These serverless providers often also support edge functions. Edge functions are lightweight, serverless compute units that operate at the network’s edge, close to the end-users. They serve as an integral part of modern infrastructure strategies, offering real-time processing and customization of content. This approach introduces an entirely new dimension of speed and efficiency to content delivery.

Wrapping Up

The performance implications of moving to a headless architecture with Sitecore really are a “Big Deal.” It’s not a minor upgrade or micro-optimization to existing approaches, but a complete departure that is aligned to the performance requirements today’s visitors expect. Moving to this architecture has allowed us to attain lighthouse scores over 90 for several clients. Here are a few examples of lighthouse scores from recent headless Sitecore implementations:


These types of scores help boost SEO rankings and improve conversions. If you’re interested in exploring your options for moving from MVC to a headless architecture, Perficient can help.

Reach out to me on LinkedIn, Twitter or fill out our contact form.